

~~~
1.
Structure and calculated powder XRD pattern of Ba5Bi2SbI (a cell relaxed with PBE; λ = 1.5418 Å (Cu Kα)).
Lines closer than 0.1° are merged.

Atomic structure:
a b c (Å): 6.288 8.741 18.077
angles (deg): 90.00 90.00 90.00
Space group Immm (No. 71)
Asymmetric unit:
Ba 0.000 0.000 0.000 x2
Ba 0.000 0.269 0.347 x8
Bi 0.000 0.000 0.200 x4
Sb 0.000 0.500 0.500 x2
I 0.000 0.500 0.000 x2

Main lines, most intense first (2θ from 10° to 80°):
d = 3.142 Å, rel. 1000, hkl 2 0 0
d = 3.083 Å, rel. 477, hkl 1 2 3
d = 4.445 Å, rel. 445, hkl 1 1 2
d = 3.520 Å, rel. 432, hkl 1 2 1
d = 7.869 Å, rel. 367, hkl 0 1 1
d = 2.222 Å, rel. 320, hkl 2 2 4
d = 2.547 Å, rel. 238, hkl 1 2 5
d = 1.794 Å, rel. 219, hkl 2 4 0
d = 3.013 Å, rel. 218, hkl 0 0 6
d = 1.475 Å, rel. 184, hkl 2 2 10
d = 3.341 Å, rel. 181, hkl 0 1 5
d = 2.175 Å, rel. 173, hkl 2 0 6

2.
Structure and calculated powder XRD pattern of Ba4BiSbI2 (a cell relaxed with PBE; λ = 1.5418 Å (Cu Kα)).
Lines closer than 0.1° are merged.

Atomic structure:
a b c (Å): 8.888 5.104 8.906
angles (deg): 90.00 109.33 90.00
Space group P2/m (No. 10)
Asymmetric unit:
Ba 0.236 0.000 0.217 x2
Ba 0.256 0.500 0.781 x2
Bi 0.500 0.000 0.000 x1
Sb 0.000 0.500 0.000 x1
I 0.000 0.000 0.500 x1
I 0.500 0.500 0.500 x1

Main lines, most intense first (2θ from 10° to 80°):
d = 3.626 Å, rel. 1000, hkl 1 1 1
d = 2.568 Å, rel. 362, hkl 2 0 2
d = 2.562 Å, rel. 275, hkl 3 1 -1
d = 1.621 Å, rel. 180, hkl 4 2 0
d = 2.088 Å, rel. 146, hkl 2 2 -2
d = 2.552 Å, rel. 136, hkl 0 2 0
d = 2.099 Å, rel. 130, hkl 4 0 0
d = 1.813 Å, rel. 127, hkl 2 2 2
d = 1.625 Å, rel. 100, hkl 3 1 3
d = 1.476 Å, rel. 93, hkl 3 3 -1
d = 1.482 Å, rel. 69, hkl 6 0 -2
d = 8.402 Å, rel. 67, hkl 0 0 1

3.
Structure and calculated powder XRD pattern of Ba6SnBi2I3 (a cell relaxed with PBE; λ = 1.5418 Å (Cu Kα)).
Lines closer than 0.1° are merged.

Atomic structure:
a b c (Å): 22.549 5.088 10.396
angles (deg): 90.00 104.37 90.00
Space group C2/m (No. 12)
Asymmetric unit:
Ba 0.005 0.000 0.236 x4
Ba 0.160 0.500 0.097 x4
Ba 0.174 0.500 0.566 x4
Sn 0.000 0.500 0.000 x2
Bi 0.165 0.000 0.331 x4
I 0.000 0.500 0.500 x2
I 0.168 0.000 0.832 x4

Main lines, most intense first (2θ from 10° to 80°):
d = 3.637 Å, rel. 1000, hkl 1 1 -2
d = 2.556 Å, rel. 269, hkl 5 1 2
d = 2.589 Å, rel. 253, hkl 7 1 -2
d = 2.085 Å, rel. 145, hkl 6 2 0
d = 2.544 Å, rel. 134, hkl 0 2 0
d = 1.819 Å, rel. 132, hkl 2 2 -4
d = 1.619 Å, rel. 131, hkl 4 2 4
d = 2.599 Å, rel. 128, hkl 2 0 -4
d = 1.635 Å, rel. 110, hkl 8 2 -4
d = 2.097 Å, rel. 74, hkl 4 0 4
d = 1.480 Å, rel. 70, hkl 10 0 4
d = 1.612 Å, rel. 65, hkl 1 3 -2

4.
Structure and calculated powder XRD pattern of Ba3In5Bi6 (a cell relaxed with PBE; λ = 1.5418 Å (Cu Kα)).
Lines closer than 0.1° are merged.

Atomic structure:
a b c (Å): 5.267 16.670 11.259
angles (deg): 90.00 90.00 90.00
Space group Pmmn (No. 59, origin choice 2)
Asymmetric unit:
Ba 0.250 0.067 0.240 x4
Ba 0.250 0.750 0.262 x2
In 0.250 0.062 0.897 x4
In 0.250 0.602 0.536 x4
~~~

Student-centred Task-based Model-Modification of New College English

【作者】 李婧

【导师】 舒白梅;

【作者基本信息】 华中师范大学 , 英语语言文学, 2002, 硕士

【摘要】 长期以来,我国的英语教学课堂一直由教师主宰。教师传授知识,而学生只是被动地接受知识。结果学生学了好几年英语,打下了良好的语言基础,而交际能力仍很薄弱,“哑巴英语”现象很普遍。另外,这些年来大家对如何改进教材,如何改进教学法来满足学生的要求也毫无兴趣,形成了“一本教材一统天下”的格局。随着中国在2001年加入了世贸组织,融入全球化经济,我们和世界的交往越来越广泛,英语作为国际通用语在中国社会越来越显示其重要性,培养复合型、应用型人才是时代的呼唤。针对这种情况,大学英语教学改革迫在眉睫。为了弥补学生交际能力的不足,1999年《新编大学英语》应运而生。 人们普遍认为,大学生通过参与各种交际活动能够学好英语。《新编大学英语》系列教材意识到现存的问题,根据《大学英语教学大纲》(修订版)的要求,基于中国的英语教学现实,倡导一种全新的“学生为中心的主题教学”模式,培养学生独立学习的能力,目的是让学生通过参与各种活动达到最终能够自如的应用语言的能力。该教材试图从新的角度来阐述教与学的关系,指出了我国英语教学发展的趋势。该教材提供了大量的阅读材料,题材广泛,以促进学生语言的输出能力的培养。然而,通过三年的使用,我校师生感到这套教材没能达到预期的效果。因此本文通过问卷调查和收集学生四级考试成绩两种形式,剖析该教材的具体实施情况以及学生对教材的反应和学习效果。作者发现该教材偏重语言交际的流利性,摈弃语法教学,忽视了语言的准确性,忽略了学生认知能力的开发,从而导致学生语言基础知识的更加薄弱,交际能力也未得到提高。这种矫枉过正的做法也同样不可取。作者认为大学英语教学要考虑学生的认知能力,否则语言的流利性、准确性和深度无法平衡,从长远来看,将对学生英语学习造成危害。如何提高输入的质量,如何培养学生的语言输出能力是本文的重点和难点。最后作者针对教材不足提出一些修改建议。 作者开始介绍了《新编大学英语》编写指导思想、理论依据和特点,从各个方面对新教材的优点和存在的问题进行了探讨。作者发现该教材缺乏语言能力的培养,语法练习是一个空白。不仅如此,它一方面强调语言的流利性,另八 硕士学住论文 w MASTER”S TffeSIS 一方面却缺乏如何达到流利性所需要的技能的培养。其选材既“泛而不精”, 也未遵循“循序渐进”的原则,这使得学生们无法跟踪他们的语言发展状况。 事实上,随着大学生的不断扩召,他们中大多数虽然学过基本的语法知识,有 一定的语言基础,但在应用中仍然对此模棱两可,混淆不清。对大学生来讲, 认知能力在语言学习中扮演着重要角色。因此为了能将注意力分配到“形式” 上来,确保语言能力的全面发展,选材要精,以便学生建立“凸显观”与“注 意观”。作者认为学生有效的参加交际活动会在很大程度上挖掘他们的认知能 力,因此作者回顾了认知法的理论基础,介绍了信息加工理论,以及由此产生 的“任务型”教学法。正如 Brumfit ( 984 sl)所说,语言的流利性与准确性 并不是对立的,而是互补的;同时语言的流利性还应考虑其深度。鉴于成人 在交际过程中侧重意义而忽略形式,作者探讨了“学生为中心的任务型”课堂 教学模式,通过设置各种不同的任务让学生朝着某一特定目标(准确性、流利 性或深度)发展。作者认为提高某个新语言现象出现的频率以及它的显眼度, 在不同的阶段强调不同的重点,提出不同的要求,以便学生合理配置有限的 注意力,将交际的自然性与语言形式结合起来,因此,除了安排语言规则的学 习,还应加强语块的练习。而这一切取决于选材。精选精读教材,兼顾内容 的循序渐进才能满足学生不同阶段不同认知能力的需求。另外,增加听、读, 写技能的训练才能减轻学生语言加工时的负荷,使学生在理解意义的基础上将 更多的注意力集中到“准确”,才能确保学生做出更准确的、更流利的及更深 刻的表达。“任务型”教学模式能满足新大纲的要求,满足个体差异,满足学 习的程序化要求,最终使他们达到语言形式和内容的平衡,确保他们语言的系 统的、持续的发展。作者指出在大力倡导培养交际能力的今天,如果对交际能 力没有全面正确的理解,从而轻视语言能力的培养,则不可能培养出高水平的 交际能力。大学英语教学的对象是非英语专业学生,打下扎实的语窘基础是发 展交际能力的前提,我们不能拔苗助长。作者认为该教材只有充分开发利用学 生的认知能力,将交际法和认知法结合起来才能使学生有效地参与课堂活动, 从根本上提高我们的教学水平,从而真正适应社会发展和经济建设的需要。

【Abstract】 For many years, traditional approaches to English teaching in classrooms has been dominated by the teacher, with the teacher imparting knowledge all the time, while students being passive recipients. In consequence, the shortcomings have become apparent. After learning English for a few years, students have good linguistic competence, but are lacking in communicative competence. "Dumb English " is a good case in point. What’s more, there is little enthusiasm in improving teaching material or methodology to meet students’ requirement. Another more recent impetus is our entry to WTO in 2001. With our integration into global economy, the demand for talented people with both professional knowledge and excellent language abilities is getting stronger and stronger. English, as an international language, becomes increasingly significant, and training interdisciplinary and application-oriented talent of foreign languages has been called for in our times. Therefore, it is urgent that reforms should be conducted in the classroom to make up this deficiency.It is commonly thought that college students can learn a foreign language well through participation in communicative activities of all kinds. Out of an awareness of the existing problems and based upon New College English Syllabus and Chinese EFL reality, New College English series emerge. The series attempt to deal with the relationship between teaching and learning from a new angle, and point out the trend in English teaching in China. It adopts a brand-new student-centred topic-based compiling approach, which is intended to develop students’ ability to utilize the language. It furnishes students with immense topics to develop their productive competence. However, certain obstacles do exist in implementing this series of books. Teachers and students who have taken this course book have come away with the uneasy feeling that such an approach does not seem to produce desired results. Teachers find themselves on the horns of a dilemma when confronted with students with antipathetic attitudes toward classroom activities. Sostudents’ performance is collected in CET-4 between 2000 and 2002 in succession, and a questionnaire survey is conducted to collect information about the implementation of this book and students’ attitudes towards it. It is revealed that overemphasis on fluency with the neglect of students’ cognitive ability has led to various deficiencies. The present writer holds that students’ cognitive ability has to be taken into account, or else a balance between fluency, accuracy, and complexity cannot be achieved, which is contagious to their English learning in the long term. Therefore the paper proposes Task-based Approach for its improvement.The present writer sets out to examine the guiding principles and theoretical basis underlying the book and its specific features including both merits and demerits from various aspects. It is found that this series are lacking in the training of linguistic competence, grammatical exercises are nowhere to be found. It stresses fluency on one hand, but how to obtain macro-skills to achieve fluency has been totally neglected on the other. More significantly, many materials selected are not systematically graded, which makes it impossible for both students and the teacher to keep track of their language development. As a matter of fact, with the increasing enrollment of college students, a great majority still get confused about rules in language and in communication, despite the fact that they have acquired a certain amount of grammatical knowledge in middle school. Materials have to be well-chosen so that salience and noticing can be contrived, and students’ attention can be allocated to form to ensure language development. Thereby, the present writer reviews in great depth the theoretical basis of Cognitive Approach, information-processing theory, and Task-based Approach. Brumfit( 1984:51) makes the point that accuracy and fluency are not opposites, but are complementary; and fluency has to be understood in al

【关键词】 任务型教学输入产出分级教学注意观
【Key words】 Task-based Approachinputoutputgradationnoticing
  • 【分类号】H319.1
  • 【下载频次】412